Sunday, December 28, 2008

Uni (6)

I've made a wheel and a swing arm.

Sunday, December 21, 2008

Uni (5)

I've made a seat and a sensor.

Sunday, December 14, 2008

Uni (4)

I've made Uni's arm.

Monday, December 1, 2008

Uni (3)

I've made a generator.

Sunday, November 23, 2008

Uni (2)

I've made Uni's frame.
I'm making Uni with SDS because I'm used to use it. I may be going to make a detailed model after freezing and make normal maps.

Saturday, November 15, 2008

Uni (1)

I started making Uni.
I've already made a rough model for making designs/storybords.

I'll use this as a guide.

Sunday, November 9, 2008

Skinning (2)

I've finished skinning.
I also set up highlights on eyes with using an environment texture. I think it is faster than using selective lights.
Still facial expression setups remain but I will make them after review the model. The next I will start making Uni.

Monday, November 3, 2008

Skinning (1)

I've started skinning.
It's almost done but some areas still need adjustments. For example, knee outer covers have to be moved along with inner covers. In the right image they intersect (in the right knee.) I'll add extra joints which is moved by driven keys or expressions for them.

Sunday, October 5, 2008


An arm rig

I've made a test model for an arm rig.
This is a movie of those.

And you can download sample data from this page:

Thursday, September 25, 2008

A rider (11)

Now I can use Maya 2008. I've imported the rider's model and textures to it.

Maya's "smooth" has 2 methods: "Exponentially" and "Linearly". I used "Linearly" for head and its parts, and used "Exponentially" for body parts.

I made the rider's hairs. They have skeletons so that I can animate them.

Tuesday, September 23, 2008

MEL script (2)

I made MEL procedures for making hairs for the rider. This can duplicate an object and set the generated objects on each point on an object radially.

Go to the MEL script(procedures)'s text page

Monday, September 15, 2008

MEL script

I've been going forward this project mainly with modo, Zbrush, XSI and Photoshop, and I decided to use Maya Complete 2008 too. I found a reseller giving a discount on Maya Complete 2008 for LightWave 3D's registered user, so I could purchase it at a low price.

Until I receive it I make some MEL scripts with my Maya Complete 4.0. This is a MEL script I made. You may be able to add an ik with control locators to an arm or leg skeleton with this. (You can use this with your own risk.)

Go to the MEL script's text page

This script can do a simple task but this will help me because doing a task like this is annoying.

Sunday, August 31, 2008

A rider (10)

I've finished painting except for hair. (I'll remake it at the same time of skinning.)
Basically the textures were painted or baked by modo and synthesized by Photoshop.

I used modo's Image Ink to paint fabrics. You can make a fablic like texture from a gray texture with using Photoshop's "waterpaper" filter. (I'm not sure about that filter's name in English version of Photoshop because I'm using a Japanese version of that.)

I made color textures which consist of ambient occlusion maps and displacement maps to emphasize suits' wrinkles. Those maps were baked by modo and then synthesized by Photoshop.

I took a look at web sites about cosmetics for making a face's textures because I had no knowledge about cosmetics. It was interesting.

The next I'll make a skeleton and its rigs. First I'll make an XSI script for making them.

Sunday, August 24, 2008

A rider (9)

I've started making textures with modo and Photoshop.
modo's paint tools are excellent.

Tuesday, August 19, 2008

A rider (8)

After all, I sculpted the model with ZBrush then made normal maps and ambient occlusion maps with mode.
The pipeline is like this.
1)Freeze a part of the model in modo, then export.
2)Sculpt it in ZBrush, then export.
3)Bake normal maps in modo.
4)Bake an ambient occlusion map with a model with a normal map in modo.

Sunday, August 3, 2008

A rider (7)

I've finished making UVs and started sculpting.
I'm sculpting with modo's sculpt tools.

Saturday, July 26, 2008

A rider (6)

I've finished making a base model of the rider.
The next I'll start sculpting. I'll use modo for that, or I may use ZBrush. Also I'll use modo, ZBrush or XSI for baking normal maps. In either case, I'll make UVs first for normal maps.

Sunday, July 13, 2008

A rider (5)

I've updated the model a little bit.
Since this model will have a skeleton I have to consider skinning. On each detail I decide if the detail should be baked to a normal map or not. Because a detail made by a normal map doesn't need points on an object, and it's obvious that skinning with few points is easier than with many points.

Monday, June 30, 2008

A rider (4)

I've started making clothes.
I'll make details with sculpt tools so the surface of these pants are almost flat so far. Now the legs are inside pants but they will be deleted.

Monday, June 23, 2008

Subdivision surface test

I've compared subdivision surface in modo and XSI.
The original model is at the top of the image. A model in the right is applyed SDS in modo and then freezed. "Linear UVs" was checked before freezing. A model in the left is applyed Catmull-Clark subdivision surface in XSI. In UV, "Smooth when subdividing" is unchecked.

In the result, the UVs look similar. I think there will be no problem( or few problems) in UVs. In the mesh there is a problem that XSI's result is slightly larger than modo's. As far as I know, this kind of difference could be small if the mesh has enough of edges. In the rider's model there are enough edges except for the top of the head and teeth. I'll add edges to them to avoid the problem.

By the way, I improved the rider's model a little bit. I've adjusted the rider's upper body and added some details around the belly.

Saturday, June 21, 2008

A rider (3)

I've finished making the rider's base model.
I put all details on this without sculpting tools in modo, but I'll use sculpting tools to add details on clothes. There are lots of details (stitches, wrinkles and so on) on the rider's suit and it might be very hard for me making them without sculpting tools.
I'll make the rider's suit next but before that I have to test subdivision surfaces and UVs with it both in modo and XSI and make sure differences between them.

Saturday, June 7, 2008

A rider (2)

I`m still working on making the rider...

Saturday, May 31, 2008

a rider (1)

I've started making a rider.

This base model will be naked. I'll make clothings and equipments afterward.

Though it will not have to be detailed, I'll make it slightly detailed because I may also use it for other projects.

This model is being made with modo. I'm not sure if modo's subdivision surface is similar to XSI's or not. If they are very different, I'll freeze the model with subdivision level 1 then bring it to XSI, or just adjust the model in XSI. Both UV maps won't be smoothed as I did in making barrels at the foot of light poles.

Monday, May 26, 2008

A port

I've made a floor, sea, sky and so on for the port.
The floor consists of polygon models and their instances. The sky was made from a polygon sphere.

In the image above I've rendered lights on light poles by a different pass from background's. The lights' pass has 2 partitions to fill lights or background with different colors (black and white). Then I put background's pass's pictures into Photoshop and added a new layer, then filled the lights area by using lights'pass's picture as a layer mask, then added an effect to the layer.

Though this scene is still lacking some elements, I'll make them and adjust this scene afterward. The next I'll make a rider.

Sunday, April 6, 2008

A gantry crane (3)

I've finished making the gantry crane.
In this image the upper part of the crane is lit up by some point lights. I'll add glows on the same positions of point lights.
Now I have containers, a top lifter, a gantry crane. I'll start to make a port with them. I may have to make some items to fill spaces.

Tuesday, March 18, 2008

Data records, as found in the file.
____________
The following is a GGA-PBE calculation of crystalline AsAuN at its relaxed geometry, from the Alexandria database.

The calculated volume is 105.5 Å³ per cell. The total magnetization comes out at 0.00 μB per cell. As for the uncorrected formation energy: 0.45 eV per atom. As for the density of states at the Fermi level: 1.672 states/eV/cell.

The structure belongs to space group P-1 (No. 2); the cell edges are 4.214, 4.726 and 5.631 Å and the angles 106.73°, 98.06° and 94.34°. The distinct sites, in fractional coordinates, are As at (0.220, 0.377, 0.241), Au at (0.286, 0.204, 0.620) and N at (0.398, 0.084, 0.979).

----------

Record 1
An optimized crystal structure of Zr2HgCl. Source: the Alexandria database, functional PBE.

Cell lengths 3.241, 4.960, 5.685 Å; angles 90.00, 106.17, 90.00 degrees
Space group Pm (No. 6)
Unique sites:
Zr1 0.000 0.000 0.000 (multiplicity 1)
Zr2 0.325 0.500 0.651 (multiplicity 1)
Hg1 0.729 0.000 0.469 (multiplicity 1)
Cl1 0.011 0.500 0.030 (multiplicity 1)

Results
- DOS(E_F) (states/eV/atom) = 1.13
- calculated total energy (eV for the cell shown) = -20.79
- energy above the most stable polymorph in this dataset (eV/atom) = 0.1566
- spin magnetization (μB per formula unit) = 0.00
- uncorrected formation energy (eV/atom) = -0.3873



Record 2
An optimized crystal structure of Zr2ZnBi. Source: the Alexandria database, functional PBE.

Cell lengths 7.758, 7.758, 6.137 Å; angles 90.00, 90.00, 90.00 degrees
Space group I-42d (No. 122)
Unique sites:
Zr1 0.234 0.250 0.125 (multiplicity 8)
Zn1 0.000 0.000 0.000 (multiplicity 4)
Bi1 0.000 0.000 0.500 (multiplicity 4)

Results
- DOS(E_F) (states/eV/atom) = 0.58
- calculated total energy (eV for the cell shown) = -89.48
- energy above the most stable polymorph in this dataset (eV/atom) = 0.1692
- spin magnetization (μB per formula unit) = 0.00



Record 3
An optimized crystal structure of YTa2Mn. Source: the Alexandria database, functional PBE.

Cell lengths 3.224, 4.869, 9.482 Å; angles 90.00, 90.00, 90.00 degrees
Space group Imm2 (No. 44)
Unique sites:
Y1 0.000 0.000 0.000 (multiplicity 2)
Ta1 0.000 0.000 0.438 (multiplicity 2)
Ta2 0.000 0.500 0.221 (multiplicity 2)
Mn1 0.000 0.500 0.742 (multiplicity 2)

Results
- DOS(E_F) (states/eV/atom) = 1.08
- calculated total energy (eV for the cell shown) = -75.72
- energy above the most stable polymorph in this dataset (eV/atom) = 0.1679
- spin magnetization (μB per formula unit) = 0.00



Record 4
An optimized crystal structure of Pr2SmYTm2. Source: the Alexandria database, functional PBE.

Cell lengths 7.080, 5.691, 9.841 Å; angles 90.00, 90.00, 90.00 degrees
Space group Pmma (No. 51)
Unique sites:
Pr1 0.000 0.000 0.000 (multiplicity 2)
Pr2 0.250 0.500 0.177 (multiplicity 2)
Sm1 0.250 0.000 0.659 (multiplicity 2)
Y1 0.000 0.500 0.500 (multiplicity 2)
Tm1 0.250 0.000 0.332 (multiplicity 2)
Tm2 0.250 0.500 0.835 (multiplicity 2)

Results
- DOS(E_F) (states/eV/atom) = 1.60
- calculated total energy (eV for the cell shown) = -58.61
____________
So much for the data records.

A gantry crane (2)

I've made the lower part of the gantry crane.
This image was rendered by XSI.I've made its render tree up in XSI. When I render this for animation, I'll make the render tree up again because I'll render this model with color texture and with ambient occlusion texture separately.

Sunday, March 2, 2008

A gantry crane

**Records of crystals that have nothing to do with the text**
____________
1.
The following is a GGA-PBE calculation of a geometry-optimized Ba3NaHo2Te6 structure, from Alexandria via LeMat-Bulk.

It has space group C2/m (No. 12), with a = 8.093 Å, b = 14.016 Å, c = 8.197 Å, α = 90.00°, β = 109.13° and γ = 90.00°. The inequivalent atoms are Ba at (0.000, 0.000, 0.000), Ba at (0.000, 0.338, 0.000), Na at (0.000, 0.500, 0.500), Ho at (0.000, 0.168, 0.500), Te at (0.226, 0.000, 0.712) and Te at (0.246, 0.327, 0.718).

As for the volume: 878.48 Å³ per cell. The value obtained for the theoretical density is 5.79 Mg/m³. The calculation puts the formation energy from raw total energies at -1505 meV/atom.

2.
The following is a GGA-PBE calculation of a geometry-optimized La2Zn7In structure, from Alexandria via LeMat-Bulk.

It has space group P-4m2 (No. 115), with a = 4.413 Å, b = 4.413 Å, c = 10.622 Å, α = 90.00°, β = 90.00° and γ = 90.00°. The inequivalent atoms are La at (0.000, 0.500, 0.237), Zn at (0.000, 0.000, 0.000), Zn at (0.000, 0.500, 0.646), Zn at (0.000, 0.500, 0.878), Zn at (0.500, 0.500, 0.000), Zn at (0.500, 0.500, 0.500) and In at (0.000, 0.000, 0.500).

As for the volume: 206.91 Å³ per cell. The value obtained for the theoretical density is 6.83 Mg/m³. The value obtained for the formation energy is -0.339 eV per atom.

~~~~~

Material: Li7AgHg3
Method: DFT, PBE-GGA
State: optimized geometry

Cell lengths 3.208, 22.394, 11.309 Å; angles 90.00, 90.00, 90.00 degrees
Space group Cmcm (No. 63)
Unique sites:
Li: 0.000 0.013 0.123 x8
Li: 0.000 0.119 0.750 x4
Li: 0.000 0.156 0.108 x8
Li: 0.000 0.292 0.089 x8
Ag: 0.000 0.411 0.750 x4
Hg: 0.000 0.267 0.750 x4
Hg: 0.000 0.416 0.044 x8

Crystal system   orthorhombic

***

Material: LiAg2Hg2
Method: DFT, PBE-GGA
State: optimized geometry

Cell lengths 4.994, 4.983, 8.013 Å; angles 90.00, 107.42, 90.00 degrees
Space group C2/m (No. 12)
Unique sites:
Li: 0.000 0.000 0.000 x2
Ag: 0.201 0.000 0.402 x4
Hg: 0.097 0.500 0.195 x4

Excess energy over the best structure of this formula in the dataset   0 meV per atom
Crystal system   monoclinic

***

Material: Li3AgHg3
Method: DFT, PBE-GGA
State: optimized geometry

Cell lengths 9.422, 9.437, 6.089 Å; angles 90.00, 90.00, 90.00 degrees
Space group Cmmm (No. 65)
Unique sites:
Li: 0.000 0.000 0.240 x4
Li: 0.250 0.250 0.246 x8
Ag: 0.000 0.268 0.000 x4
Hg: 0.000 0.264 0.500 x4
Hg: 0.222 0.500 0.000 x4
Hg: 0.232 0.500 0.500 x4

Excess energy over the best structure of this formula in the dataset   0 meV per atom
Crystal system   orthorhombic

***

Material: Li2Ag5Hg4
Method: DFT, PBE-GGA
State: optimized geometry

Cell lengths 3.053, 8.007, 9.810 Å; angles 96.66, 98.78, 100.90 degrees
Space group P-1 (No. 2)
Unique sites:
Li: 0.042 0.404 0.177 x2
Ag: 0.000 0.000 0.500 x1
Ag: 0.248 0.351 0.644 x2
Ag: 0.354 0.110 0.101 x2
Hg: 0.178 0.735 0.117 x2
Hg: 0.420 0.728 0.618 x2

Crystal system   triclinic

***

Material: Li3Ag2Hg2
Method: DFT, PBE-GGA
State: optimized geometry
____________

I've made the base of a gantry crane.
This time I made its ambient occlusion map by modo.
The gantry crane will have four of this base part. The height of the base is about 3.6 meter. The height of the gantry crane will be about 50 meter, but upper part of the crane does not have to be detailed because there will be just 1 closeup and backlight shot of its beam (cut number 12).

Sunday, February 17, 2008

A top lifter (4)

I've finished making the top lifter.
These images were rendered by modo. This model will be rendered by XSI, so I'll have to make render trees up in XSI. I already have texture maps for that.

I'll start making a gantry crane next.

Tuesday, February 12, 2008

A top lifter (3)

~~~
Entry from Alexandria: crystalline ErTm2Pu3Te6 at its relaxed geometry (GGA-PBE).

Values from the calculation:
- raw formation energy (eV/atom) = -1.16

Cell lengths 4.3528, 8.7596, 9.7713 Å; angles 102.78, 102.87, 90.00 degrees
Atoms (fractional coordinates):
Er 0.5000 0.0000 0.0000
Te 0.3308 0.4198 0.6616
Te 0.6652 0.0908 0.3305
Te 0.9975 0.7540 0.9951
Te 0.0025 0.2460 0.0049
Te 0.3348 0.9092 0.6695
Te 0.6692 0.5802 0.3384
Pu 0.8336 0.1640 0.6672
Pu 0.5000 0.5000 0.0000
Pu 0.1664 0.8360 0.3328
Tm 0.8336 0.6637 0.6672
Tm 0.1664 0.3363 0.3328
~~~

I've made ambient occlusion maps with XSI (modo also can make ambient occlusion maps).

I'll use those maps to save rendering times.

Monday, February 4, 2008

A top lifter (2)

I've finished modeling a top lifter.
I may have to bevel some edges, but it may not be a hard work. I'm making UVmaps next.

Saturday, January 26, 2008

A top lifter

I'm making a top lifter. I'm making this instead of making a forklift in the storyboard.
There will be 2 shots for the top lifter in the movie. In one of the shots the camera shoots Uni(uni-motorcycle) runs beneath a container hanged by this, so I have to make details in the forepart of this. On the other hand, I don't have to make its cockpit be detailed because the lighting will be dark and camera will move fast.

Saturday, January 19, 2008

A 40 feet container (2)

I've made varied textures for the container. I painted stain by modo, and coating by Photoshop Elements. An occlusion map generated by modo was also used for the textures.

The models near by the camera are high-poly objects and the distant models are low-poly objects. Actually the low-poly objects are cubes. The low-poly object's textures were baked by modo.
A high-poly object has 3 2048*2048 textures for diffuse and specular. A low-poly object has a 512*512 texture for diffuse. I think textures for high-poly objects could be optimized and reduced its size. The left containers are low-poly and the right containers are high-poly.

Saturday, January 12, 2008

a 40 feet container

First I'm making a 40 feet container. The containers will be the most seen object in the movie. It looks like just a box. Do you think it would be slightly boring to make this? I thought so, but references showed me some interesting features on it. It was fun to make them even they almost cannot be recognized from a distance. (Actually I'll bake the detailed model to a simple box model to make distant objects.)
This model was made and rendered by modo 301.

I'll make variety of textures to make variations.

Sunday, January 6, 2008

A storyboard and designs

I've made a storyboard and designs for this project to define what I will make.
( click this image to go to the archive page)
I tried to keep this project's scale as small as possible, but there are still lots of models, textures and animations I have to make for this project.
I'll use SOFTIMAGE XSI 6 Foundation, modo 301, Photoshop and so on for this project. I may be using some sort of movie editing software but I'll consider about it after making all scenes.

Friday, January 4, 2008


This is the first post in this site.